Your job: reproduce the lines below up to the one that holds "4.18 0.14", that line included.

~~~
Record 1
A structure of composition C37H34BrF5NPW at a distorted geometry. Source: the OMol25 dataset; level of theory: ωB97M-V with the def2-TZVPD basis set.

2S+1	3
gap between HOMO and LUMO (alpha / beta)	6.9 / 6.9	eV
relative energy (zero: lowest compared OMol25 entry of this formula, charge and spin)	0.0000	eV
⟨S²⟩	2.036
HOMO energy (alpha / beta)	-0.521 / -0.526	hartree
net charge	+2

Geometry as XYZ:
```
80
C37H34BrF5NPW, DFT ωB97M-V with the def2-TZVPD basis set
W -0.13 0.34 0.62
C -3.00 -4.06 -0.95
C -2.38 -2.70 -1.32
C -2.12 -2.64 -2.83
C -3.25 -1.54 -0.87
C -4.47 -1.32 -1.51
C -5.27 -0.23 -1.19
C -4.84 0.69 -0.25
C -3.63 0.52 0.42
C -3.21 1.58 1.42
C -3.08 1.08 2.86
C -2.03 2.42 0.94
C -2.88 -0.63 0.13
N -1.63 -0.83 0.84
C -1.42 -2.03 1.58
C -2.39 -2.72 2.28
C -2.02 -3.85 3.01
C -0.70 -4.29 3.02
C 0.29 -3.61 2.32
C -0.13 -2.50 1.64
F 0.79 -1.73 0.89
H -2.33 -4.87 -1.24
H -3.94 -4.20 -1.48
H -3.20 -4.14 0.12
H -1.41 -2.63 -0.83
H -3.03 -2.84 -3.40
H -1.39 -3.40 -3.11
H -1.74 -1.67 -3.15
H -4.81 -2.02 -2.27
H -6.22 -0.09 -1.69
H -5.45 1.56 -0.03
H -4.01 2.32 1.42
H -2.26 0.37 2.99
H -4.00 0.59 3.16
H -2.92 1.92 3.54
H -1.03 1.90 0.89
H -1.79 3.22 1.63
H -2.18 2.82 -0.06
H -3.42 -2.38 2.26
H -2.77 -4.39 3.57
H -0.43 -5.17 3.59
H 1.32 -3.92 2.30
F 0.98 5.01 -4.75
C 1.22 4.15 -3.79
C 2.43 4.18 -3.12
F 3.35 5.06 -3.46
C 2.68 3.27 -2.10
F 3.88 3.33 -1.52
C 1.74 2.34 -1.71
P 2.05 1.10 -0.40
C 3.02 -0.17 -1.23
C 2.36 -1.28 -1.76
C 3.06 -2.22 -2.50
C 4.42 -2.06 -2.70
C 5.09 -0.96 -2.18
C 4.39 -0.01 -1.45
C 3.04 1.91 0.87
C 3.97 1.17 1.59
C 4.64 1.76 2.65
C 4.38 3.08 2.99
C 3.44 3.82 2.28
C 2.77 3.23 1.22
C 0.54 2.33 -2.41
Br -0.81 1.02 -2.08
C 0.27 3.21 -3.44
F -0.88 3.18 -4.09
H 1.29 -1.41 -1.62
H 2.55 -3.08 -2.92
H 4.97 -2.79 -3.28
H 6.15 -0.83 -2.34
H 4.91 0.85 -1.04
H 4.18 0.14 1.33
H 5.38 1.19 3.21
H 4.92 3.54 3.81
H 3.25 4.85 2.54
H 2.04 3.81 0.66
C 0.60 0.55 2.61
H 1.57 0.07 2.71
H -0.09 0.12 3.34
H 0.73 1.61 2.86
```

natural (NBO) population analysis, charges in e, atoms 1 to 2:
1 W 1.46
2 C -0.60



Record 2
A cluster of 2 separate species, C15H26BClFN2O3 in total at a distorted geometry. Source: the OMol25 dataset; level of theory: ωB97M-V with the def2-TZVPD basis set.

gap between HOMO and LUMO	8.5	eV
HOMO energy	-0.473	hartree
net charge	+1

Geometry as XYZ:
```
49
C15H26BClFN2O3, DFT ωB97M-V with the def2-TZVPD basis set
C 0.56 0.93 3.62
C 1.33 -0.17 3.68
C 1.36 -1.24 2.53
C 0.47 -0.83 1.31
C 1.17 -0.28 0.18
C 2.68 -0.02 0.07
O 2.98 1.23 -0.58
C 4.15 1.81 0.02
C 0.27 0.05 -0.95
C 0.76 0.60 -2.29
C 1.34 -0.61 -3.13
F 1.59 -0.11 -4.43
C -1.13 -0.27 -0.64
C -2.15 -0.01 -1.80
C -2.52 1.51 -1.96
C -3.13 2.09 -0.63
Cl -2.17 3.56 -0.16
N -1.68 -0.75 0.46
N -0.85 -1.03 1.46
B -1.55 -1.57 2.71
C -1.46 -3.13 3.11
O -2.23 -0.66 3.49
H 0.33 1.43 4.59
H 0.12 1.33 2.68
H 2.00 -0.38 4.54
H 1.11 -2.27 2.90
H 2.43 -1.32 2.24
H 3.22 0.00 1.05
H 3.15 -0.84 -0.53
H 4.03 1.98 1.11
H 5.05 1.15 -0.13
H 4.40 2.78 -0.46
H 1.47 1.44 -2.21
H -0.09 0.98 -2.92
H 2.25 -1.06 -2.68
H 0.51 -1.35 -3.27
H -3.05 -0.66 -1.70
H -1.64 -0.32 -2.75
H -3.32 1.57 -2.74
H -1.67 2.13 -2.33
H -4.17 2.43 -0.85
H -3.18 1.34 0.19
H -0.59 -3.64 2.64
H -2.44 -3.58 2.80
H -1.38 -3.16 4.22
H -3.05 -1.07 3.80
O -1.71 0.16 -5.06
H -2.37 0.37 -5.72
H -1.19 -0.54 -5.46
```

natural (NBO) population analysis, charges in e, atoms 1 to 2:
1 C -0.39
2 C -0.20



Record 3
A cluster of 2 separate species, C4H9N2 in total at a distorted geometry. Source: the OMol25 dataset; level of theory: ωB97M-V with the def2-TZVPD basis set.

gap between HOMO and LUMO	7.2	eV
relative energy (zero: lowest compared OMol25 entry of this formula, charge and spin)	4.2350	eV
HOMO energy	-0.449	hartree
net charge	+1

Geometry as XYZ:
```
15
C4H9N2, DFT ωB97M-V with the def2-TZVPD basis set
C 2.17 -0.83 -1.51
C 1.48 0.13 -0.95
C -1.78 -0.67 -0.10
C 0.68 0.99 -0.28
N 0.57 1.01 1.10
N -1.94 -0.12 1.04
H 1.82 -1.81 -1.46
H -1.98 -0.03 -1.01
H -1.66 -1.83 -0.25
H -0.12 1.55 -0.77
~~~

Record 1
A structure of composition C37H34BrF5NPW at a distorted geometry. Source: the OMol25 dataset; level of theory: ωB97M-V with the def2-TZVPD basis set.

2S+1	3
gap between HOMO and LUMO (alpha / beta)	6.9 / 6.9	eV
relative energy (zero: lowest compared OMol25 entry of this formula, charge and spin)	0.0000	eV
⟨S²⟩	2.036
HOMO energy (alpha / beta)	-0.521 / -0.526	hartree
net charge	+2

Geometry as XYZ:
```
80
C37H34BrF5NPW, DFT ωB97M-V with the def2-TZVPD basis set
W -0.13 0.34 0.62
C -3.00 -4.06 -0.95
C -2.38 -2.70 -1.32
C -2.12 -2.64 -2.83
C -3.25 -1.54 -0.87
C -4.47 -1.32 -1.51
C -5.27 -0.23 -1.19
C -4.84 0.69 -0.25
C -3.63 0.52 0.42
C -3.21 1.58 1.42
C -3.08 1.08 2.86
C -2.03 2.42 0.94
C -2.88 -0.63 0.13
N -1.63 -0.83 0.84
C -1.42 -2.03 1.58
C -2.39 -2.72 2.28
C -2.02 -3.85 3.01
C -0.70 -4.29 3.02
C 0.29 -3.61 2.32
C -0.13 -2.50 1.64
F 0.79 -1.73 0.89
H -2.33 -4.87 -1.24
H -3.94 -4.20 -1.48
H -3.20 -4.14 0.12
H -1.41 -2.63 -0.83
H -3.03 -2.84 -3.40
H -1.39 -3.40 -3.11
H -1.74 -1.67 -3.15
H -4.81 -2.02 -2.27
H -6.22 -0.09 -1.69
H -5.45 1.56 -0.03
H -4.01 2.32 1.42
H -2.26 0.37 2.99
H -4.00 0.59 3.16
H -2.92 1.92 3.54
H -1.03 1.90 0.89
H -1.79 3.22 1.63
H -2.18 2.82 -0.06
H -3.42 -2.38 2.26
H -2.77 -4.39 3.57
H -0.43 -5.17 3.59
H 1.32 -3.92 2.30
F 0.98 5.01 -4.75
C 1.22 4.15 -3.79
C 2.43 4.18 -3.12
F 3.35 5.06 -3.46
C 2.68 3.27 -2.10
F 3.88 3.33 -1.52
C 1.74 2.34 -1.71
P 2.05 1.10 -0.40
C 3.02 -0.17 -1.23
C 2.36 -1.28 -1.76
C 3.06 -2.22 -2.50
C 4.42 -2.06 -2.70
C 5.09 -0.96 -2.18
C 4.39 -0.01 -1.45
C 3.04 1.91 0.87
C 3.97 1.17 1.59
C 4.64 1.76 2.65
C 4.38 3.08 2.99
C 3.44 3.82 2.28
C 2.77 3.23 1.22
C 0.54 2.33 -2.41
Br -0.81 1.02 -2.08
C 0.27 3.21 -3.44
F -0.88 3.18 -4.09
H 1.29 -1.41 -1.62
H 2.55 -3.08 -2.92
H 4.97 -2.79 -3.28
H 6.15 -0.83 -2.34
H 4.91 0.85 -1.04
H 4.18 0.14 1.33